*waving my hands* 

Nina-chan here! I did not post an entry yesterday because, I was thinking of what story could I pull with this word. Although the supermoon did not show itself that night, guess I will have to wait 18 years more to see it again. Insya-Allah. 

"A word that can change a person's life completely. Whether it is one's perspective, one's desires, one's thoughts. Everything will change if a person finds it."
Looking out the window. It was snowing. I love how they sprinkle the road as they fall down from the sky, gracefully. I smiled. In my mind, I picture myself in a pile of snow, just covering myself like a cake that is covered with loads of icing. Although it is cold, I like it. I looked at my blank canvas. Everyone had their own canvases coloured. As for me, I... I don't know what to draw.
Just like my life. It is so soon. I can't think straight. I have to decide which school to go to, as I finished a big exam that will change my life. Is it a college? A private university? Or just a normal public university that I would pick to study in for the rest of next year? I... I just don't know. Everyone had their own ambitions. Everyone had their own dreams. Everyone had their own desires to fulfill. Yet, I am here standing alone in this road. Asking.
"Where am I going?"
**Next to the article, the page also holds data records:**
- - -
This entry pairs a crystal structure of Sr3Zn8Au with its calculated powder diffractogram. Radiation: a wavelength of 1.5418 Å. Structure: DFT lattice parameters and positions (PBE).
Kinematic intensities with the Lorentz-polarization factor, no thermal factor.

Structure:
a b c (Å): 5.6835 5.6835 27.3578
angles (deg): 90.00 90.00 120.00
Space group R3m (No. 160, hexagonal axes)
Asymmetric unit:
1 Sr 0.0000 0.0000 0.0000
2 Sr 0.0000 0.0000 0.1284
3 Sr 0.0000 0.0000 0.5144
4 Zn 0.0000 0.0000 0.3153
5 Zn 0.0000 0.0000 0.8176
6 Zn 0.1674 0.3348 0.3976
7 Zn 0.1682 0.3364 0.9015
8 Au 0.0000 0.0000 0.6416

Peak list (6 most intense, 10° ≤ 2θ ≤ 90°, sorted by position)
2θ = 31.5°, d 2.842, I = 41, (1 1 0)
2θ = 31.9°, d 2.808, I = 35, (0 1 8)
2θ = 37.1°, d 2.422, I = 45, (2 0 2)
2θ = 37.3°, d 2.412, I = 100, (1 1 6)
2θ = 37.6°, d 2.391, I = 31, (1 0 10)
2θ = 38.9°, d 2.316, I = 31, (0 2 4)
- - -
Should I take a turn? Should I just walk straight? Should I just... Stay here? Wakaranai. It means "I don't know" in Japanese. At least I have learnt a bit of the language by watching some animes. I used to love watching animes. I can watch a different world that is being presented in an animation and also what the writer thinks through his animations. Although, I admit. It is kind of stupid just watching episodes without a purpose. But some of them taught me the meaning of "life".
Also, I was a nerd in the freshmen year of high school. I was a complete bookworm because I loved to read. I love to read storybooks. I love to read stories because.. Well, they have their own minds. Every story has a different picture that the writer wants to send into a reader's mind. I loved that concept. My parents are my inspirations when it comes to reading a book. They loved reading, so they are my source of recommendations. I chuckled a bit, thinking of them.
I love how goofy they are. I love how my parents are unique and different from others. Although, I get bullied sometimes. I just don't care. They are what they are and I shouldn't be so sad when people give their own critiques about them. I know better. But...
They're gone.
It's been 2 years since they have been gone. I remember it so sharply. I remember walking home, excited to tell my parents about my final exam results. I promised Mummy and Daddy that I would get high marks, this year. Alhamdulillah, I have achieved what I wanted to achieve! I was breathing heavily when walking home, and I was... Surprised? There was a lot of shoes outside the house. A lot of people came out from the house and looked at me, crying. I was so confused.
"Allah loves them more."
Said Ms. Hani, a sister to Mummy. My whole world went blank. I want to, at least show my parents what I have got in this final exam. I hold my result paper tightly in my right hand. I quickly rushed inside the house. I saw two body, lifeless, lying on the floor on a mat, covered in white cloth. Weirdly, I saw them smiling... At me? Tears flowing down my cheeks. I kneel on the floor, I tried to say "Inna lillahi wa inna ilaihi raaji'un". Mummy taught me that even she is going to go away, she will always be waiting in the other world. She will ask Allah to take care of me if they will be going away. She said, "It's going to be fine, sweetheart." Daddy smiled when she said that.
I looked at their faces for one last time. Mummy, thank you for taking care of me, until I am big girl. You taught me well about world and you made me truly see what the real world is like. It was not so bad, I agree. I promise, I will make you proud no matter where you are. See you in the next life, Insya-Allah. I kissed Mummy's forehead, just like how she kissed me before I went to sleep every night. I dropped some of my tears on to Mummy's forehead, so I brushed it away with my fingers.
Daddy, thank you for taking care of me and Mummy. Even though we are so poor, I am sorry I take what you gave to me for granted. I am sorry for being such a needy person. I am sorry I caused you a lot of trouble. I truly appreciate it when you brought me a cat, although you were allergic to cats. Thank you for being the best father in the world. I hope I will see you in Jannah in the next world. Thank you, Daddy. I then kissed Daddy's forehead.
After Mummy and Daddy passed away, I lived with my granny. Although I don't like it because I prefer living in Malaysia instead of New Zealand, I just stayed with my grandmother. I mean, where else could I go? She was fun, though. I loved walking into the park with granny. She had lots of cats in her house. I studied my English with her. I cooked breakfast, lunch and dinner with her. I did lots of fun stuff with her. Thank you, granny for taking such care of me. Although they are gone now, I appreciate them all for bringing colours in my life.
I looked out the window, for the third time. I was quite alone, here. In this spacious bedroom. I had no one else to talk about me. My future. My destiny. I knew I had rough times in my life, but this was the hardest. I don't know where to go. It's like a road has been shut down, and that's the only road I have to continue my life. I don't know where I am heading to. I am here, alone. Standing in the middle of the road. Just let the snow pouring down from the clouds.
Calculated crystals, as found in the file.
# 1
This entry pairs a crystal structure of Sc8Tl with its simulated powder diffraction line list. Radiation: λ = 1.5418 Å (Cu Kα). Structure: DFT lattice parameters and positions (GGA-PBE).
Neutral-atom scattering factors, no anomalous dispersion.

Peak list (10 most intense, 2θ from 10° to 80°, sorted by position)
12.8 deg, I 36
18.1 deg, I 19
21.6 deg, I 21
28.4 deg, I 24
33.9 deg, I 100
38.7 deg, I 12
39.0 deg, I 33
39.9 deg, I 16
57.0 deg, I 21
67.4 deg, I 24

Structure:
```
Sc8Tl
1.0
-4.898 4.898 2.261
4.898 -4.898 2.261
4.898 4.898 -2.261
Sc Tl
8 1
direct
0.000 0.336 0.336
0.000 0.664 0.664
0.336 0.000 0.336
0.336 0.336 0.672
0.336 0.664 0.000
0.664 0.000 0.664
0.664 0.336 0.000
0.664 0.664 0.328
0.000 0.000 0.000
```

***

# 2
This entry pairs a crystal structure of KNaThF6 with its simulated powder diffraction line list. Radiation: λ = 1.5418 Å (Cu Kα). Structure: DFT lattice parameters and positions (GGA-PBE).
Neutral-atom scattering factors, no anomalous dispersion.

Peak list (10 most intense, 2θ from 10° to 80°, sorted by position)
15.6 deg, I 37
17.7 deg, I 100
22.6 deg, I 69
27.5 deg, I 32
28.5 deg, I 52
35.9 deg, I 14
36.9 deg, I 29
43.5 deg, I 52
46.1 deg, I 15
55.1 deg, I 18

Structure:
```
KNaThF6
1.0
5.573 0.000 0.000
0.000 5.573 0.000
0.000 0.000 11.373
K Na Th F
2 2 2 12
direct
0.000 0.000 0.000
0.500 0.500 0.500
0.000 0.000 0.328
0.500 0.500 0.828
0.000 0.000 0.665
0.500 0.500 0.165
0.174 0.174 0.509
0.200 0.200 0.806
0.215 0.215 0.178
0.285 0.715 0.678
0.300 0.700 0.306
0.326 0.674 0.009
0.674 0.326 0.009
0.700 0.300 0.306
0.715 0.285 0.678
0.785 0.785 0.178
0.800 0.800 0.806
0.826 0.826 0.509
```

***

# 3
This entry pairs a crystal structure of NdTcB2O8 with its simulated powder diffraction line list. Radiation: λ = 1.5418 Å (Cu Kα). Structure: DFT lattice parameters and positions (GGA-PBE).
Neutral-atom scattering factors, no anomalous dispersion.

Peak list (10 most intense, 2θ from 10° to 80°, sorted by position)
20.8 deg, I 100
27.1 deg, I 12
34.4 deg, I 55
36.4 deg, I 30
46.0 deg, I 36
51.0 deg, I 25
57.1 deg, I 15
60.3 deg, I 11
64.3 deg, I 17
68.6 deg, I 11

Structure:
```
NdTcB2O8
1.0
4.931 0.000 0.000
-2.466 4.270 0.000
0.000 0.000 6.574
Nd Tc B O
1 1 2 8
direct
0.000 0.000 0.000
0.000 0.000 0.500
0.333 0.667 0.237
0.667 0.333 0.763
0.173 0.346 0.322
0.173 0.827 0.322
0.333 0.667 0.023
0.346 0.173 0.678
0.654 0.827 0.322
0.667 0.333 0.977
0.827 0.173 0.678
0.827 0.654 0.678
```

***

# 4
This entry pairs a crystal structure of Pm3InHg4 with its simulated powder diffraction line list. Radiation: λ = 1.5418 Å (Cu Kα). Structure: DFT lattice parameters and positions (GGA-PBE).
Neutral-atom scattering factors, no anomalous dispersion.

Peak list (10 most intense, 2θ from 10° to 80°, sorted by position)
25.9 deg, I 25
30.2 deg, I 36
30.8 deg, I 100
34.0 deg, I 58
40.7 deg, I 30
43.7 deg, I 26
44.2 deg, I 37
56.9 deg, I 26
62.9 deg, I 27
71.7 deg, I 18

Structure:
```
Pm3InHg4
1.0
-4.102 4.102 3.434
And then, I remembered.
"Sweetheart, remember. If you ever had difficult times choosing something, seek Allah. He knows you more than I do, and sometimes I cannot even be there for you when you are making the most important decision in your life. I need you to stay strong though. Know that I am always there for you, every step you are taking."
== Inserted here: data records ==
********
Simulated powder diffractogram
Compound: U2CoP2O22
Radiation: Cu Kα
Structure: a DFT-relaxed cell (GGA+U, the Materials Project)

Atomic structure:
Lattice parameters (Å, degrees): 6.9774 18.2561 9.8084 90.00 134.34 90.00
Fractional coordinates of all 54 atoms:
U 0.0667 0.1970 0.0482
U 0.0667 0.3030 0.5482
U 0.9333 0.6970 0.4518
U 0.9333 0.8030 0.9518
Co 0.5000 0.0000 0.0000
Co 0.5000 0.5000 0.5000
P 0.4306 0.7482 0.9505
P 0.4306 0.7518 0.4505
P 0.5694 0.2482 0.5495
P 0.5694 0.2518 0.0495
O 0.0668 0.2039 0.5493
O 0.0668 0.2961 0.0493
O 0.0692 0.0978 0.0502
O 0.0692 0.4022 0.5502
O 0.2271 0.7016 0.4233
O 0.2271 0.7984 0.9233
O 0.2541 0.5534 0.2930
O 0.2541 0.9466 0.7930
O 0.2811 0.0687 0.8274
O 0.2811 0.4313 0.3274
O 0.2815 0.6996 0.7719
O 0.2815 0.8004 0.2719
O 0.3179 0.5705 0.0169
O 0.3179 0.9295 0.5169
O 0.3625 0.2025 0.0202
O 0.3625 0.2975 0.5202
O 0.3950 0.5076 0.6216
O 0.3950 0.9924 0.1216
O 0.4241 0.1985 0.3730
O 0.4241 0.3015 0.8730
O 0.4627 0.0495 0.5424
O 0.4627 0.4505 0.0424
O 0.5373 0.5495 0.9576
O 0.5373 0.9505 0.4576
O 0.5759 0.6985 0.1270
O 0.5759 0.8015 0.6270
O 0.6050 0.0076 0.8784
O 0.6050 0.4924 0.3784
O 0.6375 0.7025 0.4798
O 0.6375 0.7975 0.9798
O 0.6821 0.0705 0.4831
O 0.6821 0.4295 0.9831
O 0.7185 0.1996 0.7281
O 0.7185 0.3004 0.2281
O 0.7189 0.5687 0.6726
O 0.7189 0.9313 0.1726
O 0.7459 0.0534 0.2070
O 0.7459 0.4466 0.7070
O 0.7729 0.2016 0.0767
O 0.7729 0.2984 0.5767
O 0.9308 0.5978 0.4498
O 0.9308 0.9022 0.9498
O 0.9332 0.7039 0.9507
O 0.9332 0.7961 0.4507

Largest 6 diffraction maxima, low angle first, 2θ = 10–80°:
hkl 0 1 1, d 6.544, I 39.4; hkl 1 3 -1, d 4.589, I 100.0; hkl 1 2 0, d 4.379, I 39.4; hkl 1 2 -2, d 4.320, I 34.2; hkl 2 0 -2, d 3.488, I 38.0; hkl 0 5 1, d 3.237, I 52.2

=====

This entry pairs a crystal structure of Pm2TmIn2Rh5 with its calculated powder diffraction line list. Radiation: Cu Ka. Structure: a structure optimized by DFT (PBE).

Most intense lines, 15° ≤ 2θ ≤ 90°, sorted by position:
| index | Position (°2θ) | I (rel.) |
| --- | --- | --- |
| 2 2 1 | 34.26 | 20 |
| 4 1 0 | 35.49 | 30 |
| 3 1 1 | 36.43 | 100 |
| 3 3 0 | 36.55 | 14 |
| 4 2 0 | 38.61 | 15 |
| 3 2 1 | 39.48 | 25 |
| 4 0 1 | 42.35 | 10 |
| 0 0 2 | 49.04 | 18 |
| 4 1 2 | 61.98 | 12 |
| 3 1 3 | 83.35 | 9 |

Structural model:
```
data_Pm2TmIn2Rh5
_chemical_formula_sum 'Pm4 Tm2 In4 Rh10'
_space_group_name_H-M_alt 'P 4/m b m'
_space_group_IT_number 127
_space_group_name_Hall '-P 4 2ab'
_cell_length_a 10.4294
_cell_length_b 10.4294
_cell_length_c 3.7154
_cell_angle_alpha 90.00
_cell_angle_beta 90.00
_cell_angle_gamma 90.00
loop_
_atom_site_label
_atom_site_fract_x
_atom_site_fract_y
_atom_site_fract_z
Pm1 0.1700 0.3300 0.0000
Tm1 0.0000 0.0000 0.0000
In1 0.1279 0.6279 0.0000
Rh1 0.0000 0.5000 0.5000
Rh2 0.0619 0.7991 0.5000
```

=====

Simulated powder diffractogram of Na2VTe4 for Cu Kα (λ = 1.5418 Å), from a structure optimized by DFT (GGA-PBE).
No peak broadening, texture or thermal motion is included.

abc: 8.680 8.680 8.680
********
Mummy and Daddy looked at me, and hugged me. I smiled and said "Thank you". I remembered, I was just about to take UPSR examination. I brushed the memories off my shoulders. I knew, I have to keep going. I then got out of bed and cleaned myself in the form of wudhu'. I wore my telekung, and prayed at 3 AM. I knew that I wanted to learn about Allah more. He is The Most Merciful, right? Agreed. My heart was pumping, excited to get to know more about my Creator. I wanted to learn more about Him. I smiled. For now, let's just make that desire into my life's...
Nina-chan has to go. See you soon and Assalamualaikum!